Print the whole of the contents underneath character by character, please.

'''
# LiMg2VO4 | the Alexandria database | GGA+U | relaxed
data_LiMg2VO4
_chemical_formula_sum 'Li1 Mg2 V1 O4'
_space_group_name_H-M_alt 'P 1 2/m 1'
_space_group_IT_number 10
_cell_length_a 5.122
_cell_length_b 3.029
_cell_length_c 5.130
_cell_angle_alpha 90.00
_cell_angle_beta 107.89
_cell_angle_gamma 90.00
loop_
_space_group_symop_operation_xyz
'x,y,z'
'-x,-y,-z'
'-x,y,-z'
'x,-y,z'
loop_
_atom_site_label
_atom_site_type_symbol
_atom_site_fract_x
_atom_site_fract_y
_atom_site_fract_z
Li1 Li 0.000 0.000 0.000
Mg1 Mg 0.500 0.000 0.500
Mg2 Mg 0.500 0.500 0.000
V1 V 0.000 0.500 0.500
O1 O 0.247 0.000 0.746
O2 O 0.255 0.500 0.267
# Total moment in μB per formula unit: 2.00
# Uncorrected energy in eV/atom: -6.421


[1]
This record from the Alexandria database describes a crystal of NaFePO4 relaxed with PBEsol. The functional is SCAN.

The space group is Pnma (No. 62) and the conventional cell measures 10.257, 6.194 and 5.094 Å, with angles of 90.00, 90.00 and 90.00 degrees. The asymmetric unit holds Na at (0.000, 0.000, 0.000), Fe at (0.165, 0.250, 0.496), P at (0.186, 0.750, 0.483), O at (0.118, 0.545, 0.375), O at (0.167, 0.250, 0.893) and O at (0.172, 0.750, 0.787).

The crystal system is orthorhombic. The value obtained for the uncorrected formation energy is -2184 meV per atom. For the total energy, the calculation gives -291.83 eV per cell. The polymorph energy (0 for the lowest one) is 3.4 kJ/mol of atoms.

[2]
This record from the Alexandria database describes a crystal of NaFeSe2O8 relaxed with PBEsol. The functional is SCAN.

The space group is C2/m (No. 12) and the conventional cell measures 8.288, 5.473 and 7.172 Å, with angles of 90.00, 91.50 and 90.00 degrees. The asymmetric unit holds Na at (0.000, 0.000, 0.000), Fe at (0.000, 0.000, 0.500), Se at (0.138, 0.500, 0.276), O at (0.019, 0.251, 0.295), O at (0.219, 0.500, 0.072) and O at (0.234, 0.000, 0.539).

The crystal system is monoclinic. The value obtained for the uncorrected formation energy is -1131 meV per atom. For the total energy, the calculation gives -251.85 eV per cell.
'''

# LiMg2VO4 | the Alexandria database | GGA+U | relaxed
data_LiMg2VO4
_chemical_formula_sum 'Li1 Mg2 V1 O4'
_space_group_name_H-M_alt 'P 1 2/m 1'
_space_group_IT_number 10
_cell_length_a 5.122
_cell_length_b 3.029
_cell_length_c 5.130
_cell_angle_alpha 90.00
_cell_angle_beta 107.89
_cell_angle_gamma 90.00
loop_
_space_group_symop_operation_xyz
'x,y,z'
'-x,-y,-z'
'-x,y,-z'
'x,-y,z'
loop_
_atom_site_label
_atom_site_type_symbol
_atom_site_fract_x
_atom_site_fract_y
_atom_site_fract_z
Li1 Li 0.000 0.000 0.000
Mg1 Mg 0.500 0.000 0.500
Mg2 Mg 0.500 0.500 0.000
V1 V 0.000 0.500 0.500
O1 O 0.247 0.000 0.746
O2 O 0.255 0.500 0.267
# Total moment in μB per formula unit: 2.00
# Uncorrected energy in eV/atom: -6.421


[1]
This record from the Alexandria database describes a crystal of NaFePO4 relaxed with PBEsol. The functional is SCAN.

The space group is Pnma (No. 62) and the conventional cell measures 10.257, 6.194 and 5.094 Å, with angles of 90.00, 90.00 and 90.00 degrees. The asymmetric unit holds Na at (0.000, 0.000, 0.000), Fe at (0.165, 0.250, 0.496), P at (0.186, 0.750, 0.483), O at (0.118, 0.545, 0.375), O at (0.167, 0.250, 0.893) and O at (0.172, 0.750, 0.787).

The crystal system is orthorhombic. The value obtained for the uncorrected formation energy is -2184 meV per atom. For the total energy, the calculation gives -291.83 eV per cell. The polymorph energy (0 for the lowest one) is 3.4 kJ/mol of atoms.

[2]
This record from the Alexandria database describes a crystal of NaFeSe2O8 relaxed with PBEsol. The functional is SCAN.

The space group is C2/m (No. 12) and the conventional cell measures 8.288, 5.473 and 7.172 Å, with angles of 90.00, 91.50 and 90.00 degrees. The asymmetric unit holds Na at (0.000, 0.000, 0.000), Fe at (0.000, 0.000, 0.500), Se at (0.138, 0.500, 0.276), O at (0.019, 0.251, 0.295), O at (0.219, 0.500, 0.072) and O at (0.234, 0.000, 0.539).

The crystal system is monoclinic. The value obtained for the uncorrected formation energy is -1131 meV per atom. For the total energy, the calculation gives -251.85 eV per cell.